To do.
It remains to search the data further down for the word "to" and echo each line that has it.
Excerpt.
┌──
1.
The following is a DFT calculation (wB97M-V/def2-TZVPD) of a structure of composition C37H29Br2ClNNiO5P in a non-equilibrium geometry.

Each line ends with the Mulliken charge.
Geometry (Å):
Ni  -0.29920  -0.05910  -0.02021  1.405
C  -0.83763  -3.40493  -1.04074  -0.335
C  -0.87158  -3.24481  0.43851  0.533
C  -1.11979  -4.34736  1.27907  -0.983
C  -1.18421  -4.18152  2.63545  -0.862
C  -0.96450  -2.90269  3.18093  1.071
C  -1.02030  -2.57345  4.55249  0.001
Br  -1.48760  -3.90723  5.82327  -0.254
C  -0.75253  -1.30183  5.00286  -0.488
C  -0.40662  -0.30833  4.09918  -0.339
Br  -0.01318  1.45336  4.66572  -0.168
C  -0.33768  -0.53984  2.71993  -0.122
O  -0.01028  0.35984  1.87982  -0.001
C  -0.65256  -1.86573  2.26773  0.352
N  -0.63333  -2.04330  0.92690  -0.618
H  -1.26382  -4.35275  -1.35338  0.458
H  0.19727  -3.35006  -1.37806  0.217
H  -1.38200  -2.58527  -1.50309  -0.254
H  -1.27182  -5.31865  0.83544  0.449
H  -1.40170  -5.01532  3.28838  0.369
H  -0.80728  -1.07021  6.05684  0.443
O  0.32952  -0.39915  -2.00161  0.419
P  0.29814  -0.89813  -3.40437  0.245
C  -1.33365  -1.53640  -3.91017  1.061
C  -1.53223  -2.42258  -4.96336  -0.622
C  -2.80958  -2.87591  -5.24316  -0.699
C  -3.89241  -2.43170  -4.50045  -0.584
C  -3.69911  -1.52131  -3.47692  -0.646
C  -2.42452  -1.07394  -3.18131  -1.021
C  1.55527  -2.21108  -3.60924  0.452
C  2.87874  -1.80287  -3.49965  -0.825
C  3.89498  -2.74207  -3.50473  -0.681
C  3.59661  -4.09090  -3.60334  -0.548
C  2.27711  -4.50030  -3.69060  -0.841
C  1.25569  -3.56393  -3.70021  -0.255
C  0.71331  0.42767  -4.57069  0.566
C  0.73956  1.73217  -4.09788  -0.215
C  0.99461  2.77004  -4.97515  -0.714
C  1.21523  2.50449  -6.31645  -0.494
C  1.18869  1.19993  -6.78767  -0.704
C  0.93627  0.15694  -5.91585  -0.444
H  -0.70079  -2.76081  -5.56564  0.375
H  -2.96406  -3.58408  -6.04205  0.426
H  -4.88358  -2.79673  -4.72290  0.409
H  -4.53525  -1.15925  -2.89931  0.545
H  -2.27182  -0.37306  -2.37226  0.574
H  3.10467  -0.74706  -3.40442  0.413
H  4.92119  -2.42156  -3.41846  0.432
H  4.39175  -4.82258  -3.59674  0.398
H  2.04402  -5.55216  -3.73681  0.434
H  0.22662  -3.88197  -3.77404  0.456
H  0.56029  1.91746  -3.04748  0.304
H  1.01665  3.78929  -4.61920  0.453
H  1.40607  3.31644  -7.00219  0.383
H  1.36082  1.00398  -7.83576  0.423
H  0.91709  -0.86421  -6.26882  0.327
C  0.03833  4.89340  1.59924  -1.392
C  1.03567  3.77454  1.48728  0.976
C  2.19987  3.90295  2.24213  -1.053
C  3.24374  3.00440  2.14970  0.078
Cl  4.65367  3.22331  3.12130  -0.244
C  3.17280  1.94393  1.25681  -1.157
C  2.01704  1.78576  0.52888  -0.091
C  0.92506  2.65118  0.65627  0.630
O  -0.14299  2.25859  -0.11737  0.092
C  -1.45524  2.74480  0.11250  -0.227
C  -2.47952  1.73482  -0.52850  0.071
O  -3.50644  2.17773  -1.00263  -0.718
O  -2.14474  0.51537  -0.47469  -0.708
H  0.51374  5.74096  2.08763  0.485
H  -0.82736  4.61634  2.19605  0.284
H  -0.30014  5.22057  0.61973  0.306
H  2.28530  4.73355  2.92547  0.388
H  3.99844  1.25624  1.15723  0.466
H  1.90107  0.94835  -0.16250  0.496
H  -1.60640  3.71956  -0.35345  0.355
H  -1.68941  2.78873  1.18030  0.290

charge: 0
ΔE to the lowest compared entry with this formula, charge and spin: 13.10 kcal per mole
frontier orbital gap (spin up / spin down): 7.36 / 7.13 eV
E_LUMO (spin up / spin down): -0.008 / -0.250 eV
highest occupied orbital energy (spin up / spin down): -7.37 / -7.38 eV
spin multiplicity: 3

=====

2.
The following is a DFT calculation (wB97M-V/def2-TZVPD) of a cluster of 6 separate species, C37H29FINO25S in total in a non-equilibrium geometry.

Each line ends with the Mulliken charge.
Geometry (Å):
C  -3.02715  1.96521  -5.66209  -0.880
S  -1.97798  0.87457  -4.55895  1.261
O  -0.55602  0.71994  -5.22394  -0.595
O  -2.62559  -0.56418  -4.59450  -0.677
C  -1.87445  1.41717  -2.76893  0.528
C  -0.66145  0.47897  -2.18822  -0.602
C  -0.94613  -0.14193  -0.67918  0.326
O  -0.81964  -1.47334  -0.50057  -0.437
F  -1.28497  0.66363  0.51670  -0.284
└──
Here it is.
ΔE to the lowest compared entry with this formula, charge and spin: 13.10 kcal per mole